
Wednesday, July 9, 2008

The Benefit of Multiple Opinions

by Annette Lyon

I've said it many times: The single best thing I ever did for my writing was get into an excellent critique group. It gives me the feedback I need to know whether I'm getting close to the mark or whether I'm totally off track.

As you seek feedback, keep one very important thing in mind:

Don't rely on one opinion.

Feedback from one person isn't enough, no matter how good the writer, no matter how experienced or excellent they are.

Here's why: Writing is subjective. There isn't just one right answer. Surrendering to one person's opinion might not be the best way to go.

What if you relied so heavily on one opinion that you overhauled your entire manuscript . . . only to discover after the fact that your book was actually better before your massive revision?

Or what if your original manuscript did need a big revision . . . but in a totally different direction than your only reader suggested?

My critique group is composed of published and award-winning writers who know their stuff. But even they sometimes disagree about whether something should be changed or whether a story element is working. While I usually take their advice (they are frighteningly good at what they do), I've ignored suggestions from every single one of them.

[These materials data were left in the page by mistake]
Entry 1:
The following is a computed powder XRD pattern of Hg4Rh3. It was derived from the PBE geometry in Alexandria, using Cu Kα (λ = 1.5418 Å).
Kinematic intensities with the Lorentz-polarization factor, no thermal factor.

Cell and atoms:
Cell: 14.4324 14.4324 14.4324 Å, 167.96 167.96 17.05°
Element x y z (fractional)
Hg (0.0658, 0.0658, 0.0000)
Hg (0.3462, 0.3462, 0.0000)
Hg (0.6538, 0.6538, 0.0000)
Hg (0.9342, 0.9342, 0.0000)
Rh (0.2219, 0.2219, 0.0000)
Rh (0.5000, 0.5000, 0.0000)
Rh (0.7781, 0.7781, 0.0000)

The 6 most intense peaks (5° ≤ 2θ ≤ 70°), low angle first:
2θ (°), intensity
31.01, 13
36.99, 100
42.23, 39
44.43, 10
61.26, 13
62.97, 14

Entry 2:
The following is a computed powder XRD pattern of Ru2Pt3. It was derived from the PBE geometry in Alexandria, using Cu Kα (λ = 1.5418 Å).
Kinematic intensities with the Lorentz-polarization factor, no thermal factor.

Cell and atoms:
Cell: 11.5374 11.5374 11.5374 Å, 13.70 13.70 13.70°
Element x y z (fractional)
Ru (0.1969, 0.1969, 0.1969)
Ru (0.8031, 0.8031, 0.8031)
Pt (0.0000, 0.0000, 0.0000)
Pt (0.4031, 0.4031, 0.4031)
Pt (0.5969, 0.5969, 0.5969)

The 6 most intense peaks (5° ≤ 2θ ≤ 70°), low angle first:
2θ (°), intensity
7.74, 28
39.43, 33
40.05, 100
46.39, 64
67.28, 19
68.13, 21

Entry 3:
The following is a computed powder XRD pattern of Sm4Ge2S. It was derived from the PBE geometry in Alexandria, using Cu Kα (λ = 1.5418 Å).
Kinematic intensities with the Lorentz-polarization factor, no thermal factor.

Cell and atoms:
Cell: 7.7083 7.7083 7.7083 Å, 109.99 109.99 108.43°
Element x y z (fractional)
Sm (0.1172, 0.2395, 0.7391)
Sm (0.1281, 0.7504, 0.7609)
Sm (0.2496, 0.0105, 0.3777)
Sm (0.5004, 0.3781, 0.2609)
Sm (0.6219, 0.8828, 0.1223)
Sm (0.6328, 0.8719, 0.6223)
Sm (0.7605, 0.4996, 0.8777)
Sm (0.9895, 0.3672, 0.2391)
Ge (0.2524, 0.6250, 0.1274)
Ge (0.3750, 0.5024, 0.6274)
Ge (0.4976, 0.1250, 0.8726)
Ge (0.8750, 0.7476, 0.3726)
S (0.0000, 0.0000, 0.0000)
S (0.7500, 0.2500, 0.5000)

The 6 most intense peaks (5° ≤ 2θ ≤ 70°), low angle first:
2θ (°), intensity
31.44, 46
31.98, 100
37.59, 43
37.86, 23
38.02, 22
52.75, 23

Entry 4:
The following is a computed powder XRD pattern of CdInGa. It was derived from the PBE geometry in Alexandria, using Cu Kα (λ = 1.5418 Å).
Kinematic intensities with the Lorentz-polarization factor, no thermal factor.

Cell and atoms:
Cell: 5.6213 5.6213 3.1268 Å, 105.27 105.27 46.94°
Element x y z (fractional)
Cd (0.0000, 0.0000, 0.0000)
In (0.3252, 0.3252, 0.3263)
Ga (0.6574, 0.6574, 0.6544)

The 6 most intense peaks (5° ≤ 2θ ≤ 70°), low angle first:
2θ (°), intensity
33.79, 100
35.00, 91
39.41, 33
40.10, 31
40.28, 31
57.62, 21

Entry 5:
The following is a computed powder XRD pattern of AcEuIn. It was derived from the PBE geometry in Alexandria, using Cu Kα (λ = 1.5418 Å).
Kinematic intensities with the Lorentz-polarization factor, no thermal factor.

Cell and atoms:
Cell: 7.2894 7.2894 7.2894 Å, 147.86 147.86 46.10°
Element x y z (fractional)

Usually (but not always) that's when the group is split on an opinion, and I take the majority's view to heart. But what if I had only gotten one opinion? What if I relied so heavily on one person that I missed out on the (even better) insights I could have gotten from others?

If you don't have a critique group like mine, don't panic. You still need outside feedback, so seek it out. Just do so from multiple sources.

For example, attend writers conferences and writers meetings, such as local chapters of SCBWI, RWA, and other organizations. Network with other writers and exchange contact information, then swap manuscripts and critique one another.

Go online to find online writing support groups. Many offer critique exchanges. Don't worry that you don't know how to give a good critique; you learn how by doing it. The more you read with a critical eye, the better you'll get at offering helpful advice and at finding weak spots in your own work.

When you're ready, consider having a professional look at it (like one of the editors from Precision Editing Group).

Just be sure to give your work out to multiple sources for feedback. If one source suggests major surgery, hold off and get a second opinion before putting your book under the knife. If sources #2 and #3 agree with #1, then maybe your manuscript really could use some time on the operating table. But what if #2 and #3 agree with one another . . . in disagreeing with #1?

You'll never please every reader, and you shouldn't try to. But the more eyes that look at your work, the wider the perspective and opinions will be. That means your chances will go up that you'll hit closer to the bull's eye with what you're hoping to achieve.

And isn't that every writer's goal?


  1. I have to say that I wrote a short story that was about a very mature women's topic. Two experienced writers, both older mature women, who read it really got it.
    A third, also very gifted writer, a young mother in her thirties, did deeply appreciate it, but needed more explanation, more connection between two parts of the story.

    Then I sent a one-act play out and, after making it to the final stages of the competition, got the three anonymous judges' reports back with the rejection. They graded it on plot, dialogue, wild card, etc.
    one gave the dialogue the highest marks, another a low mark, the third, a zero! And so on down the line. All three very different responses to my work.

    It's a jungle out there. A writer needs to listen,and also consider the source and who is therr audience. And, she/he needs to still trust their own instincts for the story.

  2. Great advice, Annette. I have three different readers giving me feedback on my work in progress, and it's so fascinating. At times they disagree, but wow...when all three point out the same problem or the same thing they love? Such an incredible experience.

  3. Definitely trust your instincts. Also, definitely get more than one opinion before making a major change. I remember a friend submitting a book written in 1st person to a publisher, when the publisher suggested switching it to 3rd, he gave the publisher a list of books that had been published in 1st person. Following his instinct led to a successful book. (Now you know what I'm blogging about tomorrow :)

  4. A little over a year ago I was invited to participate in a "critique wekend" with about 8 or 9 other writers from SCBWI groups across Texas. It was an incredibe experience. About a month before the weekend we exchanged the first 30 pages of our manuscripts with everyone, then our entire manuscripts with 2 others we were assigned to.

    For the weekend we stayed at a B&B, and had group sessions where we went over everyone's 30 pages for about an hour each, and 1-on-1 sessions with the 2 that read our entire manuscripts. It was a LOT of work to get the editing done before the weekend, but when it was all over I felt like I had a gold mine with the stack of critiques these talented writers had offered me.

    That manuscript was my quickest acceptance from my publisher (it was accepted within a few days of e-mailing the editor the manuscript) and the editing procedd AFTER acceptance was so much easier than any of my other manuscripts.

    Yeah--lots of perspectives are great!

  5. Very good advice. Having more than one opinion is great because (In the case of my writer's group), each reader tends to have pet peaves and while one is focusing on adjectives, another is focussing on grammer. It gives me a more complete view of things to fix. That being said, I have noticed times when all five of them will focus on the same plot hole. I know then that I need to change it.

    Still I agree that a writer needs to nake the final determination because often, I have recieved suggestions that if used, would change my voice as the writer. so I work to say it in a better way that is still in my voice.

  6. Agent George Nicholson of Sterling Lord Literistic says, "It's important to be your own person. Too many novice writers are uncertain about their skills and pay too much attention to what others say. While it is important to listen to what others say, trust in your own instincts and judgment."

  7. Annette: Yeah, it helps when more than one person points out a way to improve an ms, then you know you have to fix it...

    Tamra, sounds like a great way to make a manuscript solid.
